Today, the Texas Retired Teachers Association (TRTA) continues its discussion about the Teacher Retirement System of Texas (TRS) sustainability study about the retiree health insurance program TRS-Care.
In our first Inside Line article about the TRS-Care study, we reviewed Option 1: Pre-fund the long-term liability. Today, we move on to Option 2: Fund on a pay-as-you-go basis for the biennium.
If Option 2 sounds familiar to you, that is because the current method for funding TRS-Care is the pay-as-you-go basis. However, because TRS-Care is facing a funding shortfall of approximately $1 billion, changes would need to be made to this methodology to pay for the shortfall itself and for the costs associated with the program for the next funding cycle.
Presently, TRS-Care is funded by several sources: retirees pay premiums and co-pays; the state makes a contribution equivalent to 1.0% of the active public education payroll (presently that amount is $285 million per year); the school districts contribute .55% of the active teacher payroll; active employees contribute .65%; and other contributions, such as federal dollars, are sometimes contributed to the program.
With Option 2, TRS has presented several possibilities for increasing the contribution amounts:
- Increasing the state contribution only;
- Increasing the state, school district and employee contributions proportionally;
- Increasing the state, school district, employee and retiree contributions proportionally; and
- Making the state contribution based on the number of covered retirees instead of the active teacher payroll.
As we mentioned in yesterday’s article, we are starting with a deficit: the $1 billion shortfall. If, for example, the contribution amounts did not change AT ALL from all sources, that deficit would continue to grow each biennium. With this information we can see that the shortfall would be $1 billion in the 2016-17 biennium, then would be $1.5 billion in the 2018-19 biennium. This deficit would only continue to grow at the current contribution rates.
This means that every legislative session, the Legislature would have to revisit the issue, as this option does not establish a long-term funding solution for the program. In this coming biennium (2016-17), they would have to pay for the deficit PLUS any expected costs for 2016 and 2017. Then the following session, they would have to pay for the next deficit (expected to be even higher) PLUS any expected costs for 2018 and 2019.
TRTA would be returning to the Legislature every session asking for more and more funding simply to keep the program functioning for another two years. This occurs because TRS-Care does not EARN any money (like the pension fund does), but only accrues expenses. Because there is no guarantee that the state would bear sole responsibility for increasing this funding every session (remember, there are school district, active employee and retiree contributions), it is possible that retiree premiums could continue to rise every session as well as taxpayer contributions.
Here are a few examples of how Option 2 could work:
Increasing the state contribution only:
- State increase from its current 1.0% (of payroll) to approximately 2.5%
Increasing the state, school district and employee contributions proportionally:
- State increase from 1.0% to 1.7% (an increase of .7%)
- School district increase from .55% to .9% (an increase of .35%)
- Active employee increase from .65% to 1.1% (an increase of .45%)
Increasing the state, school district, employee and retiree contributions proportionally:
[Here the entry breaks off for materials data]
┌──
1.
The following is a PBE calculation of a geometry-optimized CeThZr structure, from Alexandria via LeMat-Bulk.

Calculated values
The calculated formation energy is 38 kJ/mol of formula units. The calculation puts the calculated volume at 28.0 A^3/atom. As for the space group: No. 156. Its energy relative to the lowest polymorph listed for this composition is 67 meV per atom.

abc: 5.3601 5.3601 3.3745
angles: 90.00 90.00 120.00
Closest atoms and distances in Å follow each position.
Fractional coordinates of all 3 atoms:
Ce 0.0000 0.0000 0.0000  3 Zr 3.09, 2 Ce 3.37
Th 0.6667 0.3333 0.5011  2 Th 3.37, 6 Ce 3.52-3.53, 6 Zr 3.52-3.53
Zr 0.3333 0.6667 0.0015  3 Ce 3.09, 2 Zr 3.37

2.
The following is a PBE calculation of a geometry-optimized Tb5NdSn4 structure, from Alexandria via LeMat-Bulk.

Calculated values
The calculated formation energy is -405 kJ/mol of formula units. The calculation puts the calculated volume at 31.7 A^3/atom. As for the space group: No. 12.

abc: 9.2525 9.2525 8.1396
angles: 102.07 102.07 27.78
Closest atoms and distances in Å follow each position.
Fractional coordinates of all 10 atoms:
Tb 0.0000 0.0000 0.0000  4 Sn 3.00
Tb 0.2955 0.2955 0.1978  3 Sn 2.99-3.23
Tb 0.3607 0.3607 0.7768  4 Sn 3.14-3.36
Tb 0.6393 0.6393 0.2232  4 Sn 3.14-3.36
Tb 0.7045 0.7045 0.8022  3 Sn 2.99-3.23
Nd 0.0000 0.0000 0.5000  6 Sn 3.15-3.39
Sn 0.1894 0.1894 0.5094  2 Sn 3.14, 6 Tb 3.20-3.49, 1 Nd 3.39
Sn 0.4640 0.4640 0.2190  4 Tb 2.99-3.14, 2 Nd 3.15
Sn 0.5360 0.5360 0.7810  4 Tb 2.99-3.14, 2 Nd 3.15
Sn 0.8106 0.8106 0.4906  2 Sn 3.14, 6 Tb 3.20-3.49, 1 Nd 3.39

3.
The following is a PBE calculation of a geometry-optimized CdAs2Se structure, from Alexandria via LeMat-Bulk.

Calculated values
The calculation puts the calculated volume at 28.9 A^3/atom. As for the space group: No. 122. Its energy relative to the lowest polymorph listed for this composition is 344 meV per atom.

abc: 7.9174 7.9174 7.9174
angles: 136.61 136.61 63.04
Closest atoms and distances in Å follow each position.
Fractional coordinates of all 8 atoms:
Cd 0.0000 0.0000 0.0000  4 As 2.71
Cd 0.7500 0.2500 0.5000  4 As 2.71
As 0.1386 0.6250 0.0136  2 Se 2.63, 2 Cd 2.71
As 0.3750 0.3886 0.5136  2 Se 2.63, 2 Cd 2.71
As 0.6114 0.1250 0.9864  2 Se 2.63, 2 Cd 2.71
As 0.8750 0.8614 0.4864  2 Se 2.63, 2 Cd 2.71
Se 0.2500 0.7500 0.5000  4 As 2.63
Se 0.5000 0.5000 0.0000  4 As 2.63


1.
VReMo after structural relaxation, computed with PBE.

Structure (POSCAR):
```
VReMo
1.0
0.000 5.027 3.906
4.629 0.000 3.906
4.629 5.027 0.000
V Re Mo
4 4 4
Direct
0.190 0.810 0.435
0.685 0.815 0.440
0.810 0.190 0.565
0.815 0.685 0.060
0.015 0.145 0.115
0.135 0.524 0.235
0.145 0.015 0.726
0.524 0.135 0.105
0.349 0.484 0.774
0.476 0.857 0.901
0.484 0.349 0.393
0.857 0.476 0.766
```

Properties
The value obtained for the formation energy is 0.455 eV per formula unit. As for the symmetry: Fdd2, No. 43. Its energy above the lowest structure with this stoichiometry is 347 meV/atom.

---

2.
└──
- State increase to 1.43%
- School district increase to .89%
- Active employee increase to .93%
- Retiree premiums increase 85% (estimated) as of September 1, 2016
Calculated crystals, as found in the file:
┌──
The following is a DFT calculation (PBE) of Na2CaAu2 after structural relaxation.

Values from the calculation:
**Calculated formation energy**: -420 meV per atom
**Energy above the lowest structure with this stoichiometry**: 0.0000 eV/atom

abc: 4.1853 4.1853 7.7225
angles: 74.28 74.28 90.00
With the nearest neighbours (Å) after each atom.
Atoms (fractional coordinates):
Au  0.4035  0.4035  0.1930  1 Au 2.75, 4 Na 3.03
Au  0.5965  0.5965  0.8070  1 Au 2.75, 4 Na 3.03
Na  0.7500  0.2500  0.5000  4 Na 2.96, 4 Au 3.03
Na  0.2500  0.7500  0.5000  4 Na 2.96, 4 Au 3.03
Ca  0.0000  0.0000  0.0000  8 Au 3.26

***

The following is a DFT calculation (PBE) of PrTm5 after structural relaxation.

Values from the calculation:
**Calculated formation energy**: 30 meV per atom
**Energy above the lowest structure with this stoichiometry**: 0.0207 eV/atom

abc: 4.9940 4.9864 7.8777
angles: 108.45 90.00 90.00
With the nearest neighbours (Å) after each atom.
Atoms (fractional coordinates):
Tm  0.5000  0.8323  0.6646  10 Tm 3.50-3.54, 2 Pr 3.54
Tm  0.5000  0.5000  0.0000  4 Pr 3.53, 8 Tm 3.54-3.55
Tm  0.0000  0.3316  0.6632  10 Tm 3.49-3.55, 2 Pr 3.54
Tm  0.0000  0.6684  0.3368  10 Tm 3.49-3.55, 2 Pr 3.54
Tm  0.5000  0.1677  0.3354  10 Tm 3.50-3.54, 2 Pr 3.54
Pr  0.0000  0.0000  0.0000  12 Tm 3.53-3.54

***

Which formula does entry 1 have?
Na2CaAu2

***

What did the first record say?
The following is a DFT calculation (PBE) of Na2CaAu2 after structural relaxation.

Values from the calculation:
**Calculated formation energy**: -420 meV per atom
**Energy above the lowest structure with this stoichiometry**: 0.0000 eV/atom

abc: 4.1853 4.1853 7.7225
angles: 74.28 74.28 90.00
With the nearest neighbours (Å) after each atom.
Atoms (fractional coordinates):
Au  0.4035  0.4035  0.1930  1 Au 2.75, 4 Na 3.03
Au  0.5965  0.5965  0.8070  1 Au 2.75, 4 Na 3.03
Na  0.7500  0.2500  0.5000  4 Na 2.96, 4 Au 3.03
Na  0.2500  0.7500  0.5000  4 Na 2.96, 4 Au 3.03
Ca  0.0000  0.0000  0.0000  8 Au 3.26

***

Copy entry 2 word for word.
The following is a DFT calculation (PBE) of PrTm5 after structural relaxation.

Values from the calculation:
**Calculated formation energy**: 30 meV per atom
**Energy above the lowest structure with this stoichiometry**: 0.0207 eV/atom

abc: 4.9940 4.9864 7.8777
angles: 108.45 90.00 90.00
With the nearest neighbours (Å) after each atom.
Atoms (fractional coordinates):
Tm  0.5000  0.8323  0.6646  10 Tm 3.50-3.54, 2 Pr 3.54
Tm  0.5000  0.5000  0.0000  4 Pr 3.53, 8 Tm 3.54-3.55
Tm  0.0000  0.3316  0.6632  10 Tm 3.49-3.55, 2 Pr 3.54
Tm  0.0000  0.6684  0.3368  10 Tm 3.49-3.55, 2 Pr 3.54
Tm  0.5000  0.1677  0.3354  10 Tm 3.50-3.54, 2 Pr 3.54
Pr  0.0000  0.0000  0.0000  12 Tm 3.53-3.54

~~~~~

Entry 1:
Pm2Er2Tl5 | PBE | relaxed

Unit cell a=8.154 b=8.183 c=8.549 alpha=99.89 beta=113.28 gamma=91.77
Fractional positions:
Tl 0.343 0.174 0.943
Tl 0.670 0.948 0.080
Pm 0.352 0.848 0.660
Tl 0.672 0.614 0.717
Tl 0.617 0.183 0.709
Tl 0.270 0.757 0.978
└──
The above-mentioned figures would be for the 2016-17 biennium only, and would be recalculated for the following biennium to make up for the new shortfall and pay for the program’s costs for 2018-19.
1.
The following is a PBE calculation of NaZn after structural relaxation, from Alexandria via LeMat-Bulk.

Summary:
DFT total energy (eV per atom): -0.7303
DOS(E_F) (states/eV/f.u.): 1.92
Calculated formation energy (kJ/mol of formula units): 109
Space group: Pm-3n, No. 223

Lattice parameters (Å, degrees): 8.5022 8.5022 8.5022 90.00 90.00 90.00
Positions (direct):
Na 0.0000 0.2500 0.5000
Na 0.0000 0.7500 0.5000
Na 0.2500 0.5000 0.0000
Na 0.5000 0.0000 0.2500
Na 0.5000 0.0000 0.7500
Na 0.7500 0.5000 0.0000
Zn 0.0000 0.5000 0.2500
Zn 0.0000 0.5000 0.7500
Zn 0.2500 0.0000 0.5000
Zn 0.5000 0.2500 0.0000
Zn 0.5000 0.7500 0.0000
Zn 0.7500 0.0000 0.5000

2.
The following is a PBE calculation of NaZn after structural relaxation, from Alexandria via LeMat-Bulk.

Summary:
DFT total energy (eV per atom): -0.9398
DOS(E_F) (states/eV/f.u.): 1.66
Calculated formation energy (kJ/mol of formula units): 69
Space group: I-43m, No. 217

Lattice parameters (Å, degrees): 7.8546 7.8546 7.8546 109.47 109.47 109.47
Positions (direct):
Na 0.0000 0.0000 0.5772
Na 0.0000 0.5772 0.0000
Na 0.4228 0.4228 0.4228
Na 0.5772 0.0000 0.0000
Zn 0.0000 0.0000 0.2059
Zn 0.0000 0.2059 0.0000
Zn 0.2059 0.0000 0.0000
Zn 0.7941 0.7941 0.7941

> Which of these has the lowest DFT total energy?

number 2

> The lowest calculated formation energy belongs to which entry?

number 2

> Look up the DOS(E_F) of the second one.

1.66 states/eV/f.u.
Making the state contribution based on the number of covered retirees instead of the active teacher payroll:
This method of determining contributions merely changes calculated, but does not eliminate the need for those contributions. In other words, the shortfall still exists as do the projected costs. Instead of looking towards payroll to pay for the cost of the program, the state would look to the number of participants in the program.
For example, the state’s current 1.0% contribution is roughly equivalent to paying $106 per TRS-Care participant per month (the school district’s .55% is equivalent to $71 per month, the active employees .65% is equivalent to $80 per month). If we assume that all three will bear a proportional increase in their contributions, this is like saying the state will have to pay $177 per participant per month, the school districts will have to pay $100, and the active employees $115 (for the 2016-17 biennium).
Basically, this method of calculating contributions uses a dollar amount as opposed to a percentage. As we mentioned earlier, this does not change the fact that in this Option 2 scenario, there is still a $1 billion shortfall to pay for as well as the actual cost of the program for 2016-17.
No Easy Solution
As you can tell from TRTA’s review of these two TRS-Care options, the challenge ahead of us next legislative session is significant. Even as we continue to study these difficult recommendations about TRS-Care sustainability, we must not lose our commitment to the cause. Thousands of public school employees and retirees are counting on TRTA to lead an unyielding, unwavering, unrelenting effort to protect these vital health care benefits.
We have faced significant challenges before, but our success is rooted in our members’ and friends’ willingness to be engaged and vocal.
As we continue to educate our members and all interested parties on this important topic, please know that we will offer educational and advocacy resources to use when discussing this health care crisis with our elected leaders. They need to hear from you as we prepare for the coming legislative session.
Keep in mind, our TRTA members will receive a special advocacy guide in the upcoming issue of our association publication, La voz. Look for it this summer.
Thank you for being a member of TRTA. If you are not a member and would like to join, please contact our Membership Department at 1.800.880.1650.
Please continue reading the Línea interior over the next several days as we provide detailed updates about the remaining seven options being studied by TRS to improve and sustain the TRS-Care health insurance program. Our next update is about Option 3: Funding for 10-year solvency.
Share these articles with every retiree you know, as well as with active school personnel! Your input is important. Contact us at with your concerns.